### Source
Calculated powder diffraction line list of Sn3PbSe4 for a wavelength of 1.5418 Å, from the PBE geometry in Alexandria.

The 10 most intense peaks (2θ from 15° to 90°), in order of rising 2θ:
| 2θ (°) | I_rel |
| --- | --- |
| 25.3 | 15 |
| 29.3 | 100 |
| 41.9 | 76 |
| 49.6 | 8 |
| 52.0 | 27 |
| 60.8 | 13 |
| 66.9 | 3 |
| 68.9 | 36 |
| 76.6 | 27 |
| 82.2 | 3 |

Structural model:
```
data_Sn3PbSe4
_cell_length_a 8.621
_cell_length_b 12.183
_cell_length_c 4.304
_cell_angle_alpha 90.00
_cell_angle_beta 90.00
_cell_angle_gamma 90.00
_space_group_name_H-M_alt 'P 1'
_space_group_IT_number 1
_space_group_name_Hall 'P 1'
loop_
_atom_site_label
_atom_site_fract_x
_atom_site_fract_y
_atom_site_fract_z
Sn1 0.000 0.000 0.000
Sn2 0.250 0.250 0.500
Sn3 0.250 0.750 0.500
Sn4 0.500 0.500 0.000
Sn5 0.750 0.250 0.500
Sn6 0.750 0.750 0.500
Pb1 0.000 0.500 0.000
Pb2 0.500 0.000 0.000
Se1 0.000 0.247 0.000
Se2 0.000 0.753 0.000
Se3 0.245 0.000 0.500
Se4 0.255 0.500 0.500
Se5 0.500 0.253 0.000
Se6 0.500 0.747 0.000
Se7 0.745 0.500 0.500
Se8 0.755 0.000 0.500
```

Calculated powder diffraction line list of PmNd7Er12 for a wavelength of 1.5418 Å, from the PBE geometry in Alexandria.

The 10 most intense peaks (2θ from 15° to 90°), in order of rising 2θ:
| 2θ (°) | I_rel |
| --- | --- |
| 28.8 | 25 |
| 30.7 | 35 |
| 31.6 | 100 |
| 31.8 | 48 |
| 32.6 | 23 |
| 33.1 | 57 |
| 36.5 | 17 |
| 42.0 | 14 |
| 55.3 | 26 |
| 58.7 | 15 |

Structural model:
```
data_PmNd7Er12
_cell_length_a 8.775
_cell_length_b 8.775
_cell_length_c 8.775
_cell_angle_alpha 86.01
_cell_angle_beta 86.01
_cell_angle_gamma 86.01
_space_group_name_H-M_alt 'P 1'
_space_group_IT_number 1
_space_group_name_Hall 'P 1'
loop_
_atom_site_label
_atom_site_fract_x
_atom_site_fract_y
_atom_site_fract_z
Pm1 0.000 0.000 0.000
Nd1 0.074 0.157 0.398
Nd2 0.157 0.398 0.074
Nd3 0.398 0.074 0.157
Nd4 0.500 0.500 0.500
Nd5 0.602 0.926 0.843
Nd6 0.843 0.602 0.926
Nd7 0.926 0.843 0.602
Er1 0.134 0.497 0.620
Er2 0.146 0.741 0.274
Er3 0.259 0.726 0.854
Er4 0.274 0.146 0.741
Er5 0.380 0.866 0.503
Er6 0.497 0.620 0.134
Er7 0.503 0.380 0.866
Er8 0.620 0.134 0.497
Er9 0.726 0.854 0.259
Er10 0.741 0.274 0.146
Er11 0.854 0.259 0.726
Er12 0.866 0.503 0.380
```

Calculated powder diffraction line list of MnCu2Pd2 for a wavelength of 1.5418 Å, from the PBE geometry in Alexandria.

The 10 most intense peaks (2θ from 15° to 90°), in order of rising 2θ:
| 2θ (°) | I_rel |
| --- | --- |
| 40.8 | 56 |
| 41.0 | 52 |
| 42.5 | 100 |
| 42.8 | 92 |
| 59.3 | 34 |
| 64.4 | 13 |
| 75.5 | 33 |
| 75.7 | 16 |
| 76.2 | 13 |
| 79.1 | 14 |

Structural model:
```
data_MnCu2Pd2
_cell_length_a 7.309
_cell_length_b 4.419
_cell_length_c 4.847
_cell_angle_alpha 90.00
_cell_angle_beta 115.99
_cell_angle_gamma 90.00
_space_group_name_H-M_alt 'P 1'
_space_group_IT_number 1
_space_group_name_Hall 'P 1'
loop_
_atom_site_label
_atom_site_fract_x
_atom_site_fract_y
_atom_site_fract_z
Mn1 0.000 0.000 0.000
Mn2 0.500 0.500 0.000
Cu1 0.094 0.500 0.783
Cu2 0.406 0.000 0.217
Cu3 0.594 0.000 0.783
Cu4 0.906 0.500 0.217
Pd1 0.209 0.000 0.629
Pd2 0.291 0.500 0.371
Pd3 0.709 0.500 0.629
Pd4 0.791 0.000 0.371
```

Calculated powder diffraction line list of Pr2MgPd7 for a wavelength of 1.5418 Å, from the PBE geometry in Alexandria.

The 10 most intense peaks (2θ from 15° to 90°), in order of rising 2θ:
| 2θ (°) | I_rel |
| --- | --- |
| 26.3 | 17 |
| 32.4 | 100 |
| 37.5 | 89 |
| 41.0 | 5 |
| 46.4 | 7 |
| 54.1 | 60 |
| 64.5 | 39 |
| 67.7 | 20 |
| 80.1 | 9 |
| 89.0 | 16 |

Structural model:
```
data_Pr2MgPd7
_cell_length_a 6.779
_cell_length_b 6.779
_cell_length_c 6.779
_cell_angle_alpha 60.00
_cell_angle_beta 60.00
_cell_angle_gamma 60.00
_space_group_name_H-M_alt 'P 1'
_space_group_IT_number 1
_space_group_name_Hall 'P 1'
loop_
_atom_site_label
_atom_site_fract_x
_atom_site_fract_y
_atom_site_fract_z
Pr1 0.250 0.250 0.250
Pr2 0.750 0.750 0.750
Mg1 0.000 0.000 0.000
Pd1 0.241 0.241 0.759
Pd2 0.241 0.759 0.241
Pd3 0.241 0.759 0.759
Pd4 0.500 0.500 0.500
### Exercise
Please duplicate only the last part of the calculation results further up, starting with the line that has "75.5".
### Done
| 75.5 | 33 |
| 75.7 | 16 |
| 76.2 | 13 |
| 79.1 | 14 |

Structural model:
```
data_MnCu2Pd2
_cell_length_a 7.309
_cell_length_b 4.419
_cell_length_c 4.847
_cell_angle_alpha 90.00
_cell_angle_beta 115.99
_cell_angle_gamma 90.00
_space_group_name_H-M_alt 'P 1'
_space_group_IT_number 1
_space_group_name_Hall 'P 1'
loop_
_atom_site_label
_atom_site_fract_x
_atom_site_fract_y
_atom_site_fract_z
Mn1 0.000 0.000 0.000
Mn2 0.500 0.500 0.000
Cu1 0.094 0.500 0.783
Cu2 0.406 0.000 0.217
Cu3 0.594 0.000 0.783
Cu4 0.906 0.500 0.217
Pd1 0.209 0.000 0.629
Pd2 0.291 0.500 0.371
Pd3 0.709 0.500 0.629
Pd4 0.791 0.000 0.371
```

Calculated powder diffraction line list of Pr2MgPd7 for a wavelength of 1.5418 Å, from the PBE geometry in Alexandria.

The 10 most intense peaks (2θ from 15° to 90°), in order of rising 2θ:
| 2θ (°) | I_rel |
| --- | --- |
| 26.3 | 17 |
| 32.4 | 100 |
| 37.5 | 89 |
| 41.0 | 5 |
| 46.4 | 7 |
| 54.1 | 60 |
| 64.5 | 39 |
| 67.7 | 20 |
| 80.1 | 9 |
| 89.0 | 16 |

Structural model:
```
data_Pr2MgPd7
_cell_length_a 6.779
_cell_length_b 6.779
_cell_length_c 6.779
_cell_angle_alpha 60.00
_cell_angle_beta 60.00
_cell_angle_gamma 60.00
_space_group_name_H-M_alt 'P 1'
_space_group_IT_number 1
_space_group_name_Hall 'P 1'
loop_
_atom_site_label
_atom_site_fract_x
_atom_site_fract_y
_atom_site_fract_z
Pr1 0.250 0.250 0.250
Pr2 0.750 0.750 0.750
Mg1 0.000 0.000 0.000
Pd1 0.241 0.241 0.759
Pd2 0.241 0.759 0.241
Pd3 0.241 0.759 0.759
Pd4 0.500 0.500 0.500